Big Data and Cyberpunk

Monday afternoon: while I’m in a chat session on one screen, I watch my finance twitter list  on the other screen. The tweets about Europe are rather apocalyptic, like this one by the investment banker Dan Alpert: Developed econs sinking on oceans of easy money. Dragged down by debt overhang,… Continue reading

Mind-blowing books, interviews about Avatars, Otaku

Professor Henry Jenkins published the second part of his interview with his colleague Beth Coleman about avatars and the x-reality (the thing we live in when we constantly switch back and forth from digital space to what we used to call the ‘real world’). I also read Coleman’s book Hello… Continue reading

Race against the machine meets radical transparency

Next to the page, the page also holds calculated crystals
<<<
SnO2, optimized geometry, DFT GGA-PBE; formation enthalpy at 0 K = -2.107 eV per atom; energy with MP2020 corrections = -6.74 eV/atom; uncorrected energy = -6.284 eV/atom
1.0
-3.249 3.414 3.414
3.249 -3.414 3.414
3.249 3.414 -3.414
Sn O
4 8
direct
0.000 0.000 0.500
0.000 0.500 0.000
0.496 0.246 0.250
0.504 0.754 0.750
0.189 0.246 0.944
0.198 0.754 0.444
0.306 0.309 0.503
0.306 0.804 0.997
0.694 0.196 0.003
0.694 0.691 0.497
0.802 0.246 0.556
0.811 0.754 0.056
>>>

In the book Race against the machine, written by the MIT-researchers Erik Brynjolfsson and Andrew McAfee, one of the examples of the exponential technological development is the self-driving Google car. Google claims to have safely completed over 200,000 miles of computer-led driving, even though there is some discussion about this…. Continue reading

**Someone pasted crystal structures at this point**
[1]
## Pr2Ge5Ru3 (GGA-PBE)

Data for a geometry-optimized Pr2Ge5Ru3 structure.

Structure (extended XYZ):
```
20
Lattice="-2.9496 5.0051 6.2792 2.9496 -5.0051 6.2792 2.9496 5.0051 -6.2792" Properties=species:S:1:pos:R:3 pbc="T T T"
Ru 0.0000 5.9518 1.8235
Ru 2.9496 4.0585 1.8235
Ru 2.9496 -0.9467 4.4558
Ru 4.4244 0.0000 0.0000
Ru 0.0000 0.9467 4.4558
Ru 1.4748 0.0000 0.0000
Ge 0.0000 3.3135 5.1240
Ge 4.4244 0.0000 2.6553
Ge 1.4748 5.0051 3.6239
Ge 2.9496 -3.3135 5.1240
Ge 1.4748 0.0000 6.2792
Ge 1.4748 0.0000 2.6553
Ge 2.9496 1.6917 1.1552
Ge -1.4748 5.0051 3.6239
Ge 1.4748 5.0051 0.0000
Ge 0.0000 8.3186 1.1552
Pr 2.9496 2.6846 -1.7106
Pr 0.0000 2.6846 1.7106
Pr 2.9496 2.3205 4.5686
Pr 0.0000 2.3205 7.9899
```

Calculated values
**Uncorrected energy**: -6.6863 eV/atom
**Space-group type**: Ibam, No. 72
**E_form**: -0.636 eV/atom



[2]
## Pr12Ge5S28 (GGA-PBE)

Data for a geometry-optimized Pr12Ge5S28 structure.

Structure (extended XYZ):
```
45
Lattice="-10.2678 0.0000 0.0000 -0.0005 -11.7297 0.0000 5.1331 5.8614 8.8786" Properties=species:S:1:pos:R:3 pbc="T T T"
S 1.9160 -5.7590 5.0999
S -0.0018 3.2127 5.9035
S 2.9054 -4.3221 8.0408
S -7.0658 -2.8447 3.6747
S -5.1284 0.2614 2.8498
S -0.3608 -5.7461 7.9410
S -4.8202 -8.7209 0.9322
S -1.6467 -1.4617 1.3629
S -5.1427 -5.6146 3.0724
S -7.0523 -8.7099 3.7207
S -0.3135 0.0974 7.9644
S -1.5056 -5.7474 4.5284
S -3.3108 -4.3132 7.3678
S -1.6705 0.1026 4.6944
S -0.0028 -2.6488 5.9373
S -1.8407 -7.2217 1.4810
S -3.4992 1.7667 7.5876
S -8.2673 -1.4664 0.7408
S -8.0666 -7.2176 0.8488
S 3.2147 1.7732 8.1078
S -4.8047 -2.8355 0.9202
S -3.5384 -8.7180 4.2664
S -3.5215 -2.8353 4.2377
S 0.3033 -4.0828 2.0449
S -5.4879 4.3957 6.7737
S 1.9395 0.1120 5.3063
S 0.3811 1.5357 2.3567
S -5.5031 -1.3593 6.5461
Pr -7.1899 -4.4690 1.1869
Pr 2.0680 4.4991 7.7152
Pr -2.5693 -4.4643 2.0478
Pr -2.7008 -1.5613 6.9266
Pr -7.3575 -10.1742 1.0926
Pr 2.2005 -1.5620 7.7736
Pr -2.4119 -10.1826 1.9831
Pr -2.6118 -7.2241 6.7653
Pr -5.6170 1.3897 5.6149
Pr -5.6559 -4.3059 5.8174
Pr 0.5357 -1.3558 3.2510
Pr 0.4944 -7.4260 3.0771
Ge -5.1378 -7.8205 2.9548
Ge -10.2635 -2.7896 0.0038
Ge -5.1330 -1.9358 2.9680
Ge -0.0269 1.0102 5.9394
Ge 0.0249 -4.8441 5.9044
```

Calculated values
**Uncorrected energy**: -5.8529 eV/atom
**Space-group type**: P1, No. 1
**E_form**: -1.803 eV/atom



[3]
## Pr4Ge3S12 (GGA-PBE)

Data for a geometry-optimized Pr4Ge3S12 structure.

Structure (extended XYZ):
```
38
Lattice="6.2563 -9.7813 0.0000 6.2563 9.7813 0.0000 -9.0360 0.0000 7.2915" Properties=species:S:1:pos:R:3 pbc="T T T"
S 4.4679 -3.8699 2.2678
S 7.8138 -2.6145 0.9237
S 0.3874 3.0974 4.2490
S 5.3643 2.7102 0.6001
S -2.6961 -0.7124 5.6837
S -5.9631 0.2678 5.7854
S -1.1639 5.1990 6.4446
S -0.0501 -5.9114 5.9135
S 8.0782 0.7124 2.0379
S -0.0313 -2.8296 4.4486
S 4.9054 6.6839 0.6033
S 0.7004 0.0012 6.3388
S 3.5391 1.8145 4.9853
S 1.8008 -1.8145 1.3395
S 1.7989 1.8157 1.3404
S 4.4867 -6.9517 0.8029
S 1.2767 -5.3247 2.5492
S 3.3541 4.5823 2.7988

Social media: the real issue is not ‘time’, but working by sharing ‘the making of’

This Summer I tried to have a mental break and to refrain from blogging here on MixedRealities. I think it helped me to reflect a bit on social media, and one of the things I understand better now is dat social media is primarily about deciding what you want to… Continue reading

Attached: materials data =
/*
Entry 1:
This record from the Materials Project database describes a relaxed structure of ZrP2H6O10. The functional is PBE.

```
ZrP2H6O10
1.0
5.466 0.000 0.000
0.000 6.697 0.000
-2.051 0.000 12.372
Zr P H O
2 4 12 20
Cartesian
0.315 0.000 4.618
3.100 3.349 7.754
0.414 3.347 5.461
0.285 3.869 9.957
3.130 0.521 2.414
3.001 6.696 6.910
-0.041 4.410 0.286
0.056 0.659 1.245
0.581 2.767 1.255
0.428 3.757 2.507
2.076 0.225 0.585
1.031 5.981 10.201
2.384 2.632 2.171
1.338 3.574 11.787
2.987 0.408 9.864
2.834 6.116 11.117
3.359 4.007 11.127
3.456 1.062 12.085
-0.713 3.362 6.519
-1.111 3.406 9.536
0.571 1.133 0.548
0.301 4.584 4.534
0.306 2.094 4.579
0.910 3.611 1.667
0.206 5.447 10.008
0.467 3.266 11.404
1.969 0.066 3.289
1.639 0.012 6.183
1.776 3.360 6.189
1.446 3.415 9.082
2.948 6.615 0.967
3.209 2.099 2.364
2.505 0.263 10.705
3.109 5.442 7.792
3.114 1.235 7.837
2.844 4.482 11.824
4.526 0.058 2.836
4.128 0.013 5.853
```

As for the space group: P2_1 (4).

***

Entry 2:
This record from the Materials Project database describes a relaxed structure of Cs2SiP4H2O14. The functional is PBE.

```
Cs2SiP4H2O14
1.0
9.247 0.000 0.000
-3.661 8.666 0.000
-3.512 -2.395 8.721
Cs Si P H O
4 2 8 4 28
Cartesian
-0.188 2.320 1.926
-2.647 5.134 4.651
4.721 1.137 4.070
2.262 3.951 6.795
4.624 0.000 0.000
2.793 4.333 0.000
-3.426 3.356 8.146
-1.287 -0.821 7.470
-0.798 1.444 5.650
-1.035 7.118 1.729
3.109 -0.847 6.992
2.872 4.827 3.071
3.361 7.091 1.251
5.500 2.915 0.575
-3.374 7.612 1.639
1.331 0.607 5.494
0.743 5.664 3.227
5.449 -1.342 7.082
-2.494 -1.722 7.509
-4.058 2.718 6.964
-1.685 2.007 4.596
-1.104 6.029 0.531
-2.493 7.370 2.176
-1.266 -0.071 6.028
-1.372 0.287 8.540
-2.831 4.758 7.844
0.053 -1.573 7.513
1.105 4.911 0.243
3.222 -0.266 1.098
-0.809 2.253 6.970
0.666 1.328 5.105
-0.287 6.586 2.917
2.361 -0.315 5.804
1.408 4.943 3.617
2.884 4.017 1.751
-1.147 6.537 7.624
0.969 1.360 8.478
2.021 7.844 1.208
4.905 1.513 0.878
3.446 5.984 0.181
3.341 6.342 2.693
4.567 -1.099 6.545
3.178 0.242 8.190
3.759 4.264 4.125
6.132 3.552 1.757
4.568 7.993 1.212
```

As for the space group: P-1 (2).

***

Entry 3:
This record from the Materials Project database describes a relaxed structure of TbCo3P2. The functional is PBE.

```
TbCo3P2
1.0
3.701 0.000 0.000
0.000 10.540 0.000
0.000 0.000 12.206
Tb Co P
6 18 12
Cartesian
0.925 0.703 2.511
0.925 2.635 5.826
0.925 4.567 2.511
2.776 5.973 9.694
2.776 7.905 6.380
2.776 9.838 9.694
0.925 1.368 8.658
0.925 2.635 0.173
0.925 3.902 8.658
0.925 5.766 5.258
0.925 6.147 12.140
0.925 7.905 1.941
0.925 7.905 8.587
0.925 9.664 12.140
*/

MetaMeets Day 2: going beyond virtual worlds, machinima, avatars…

Beyond the beyond is the name of Bruce Sterling’s famous blog on Wired. It’s a habit of sci-fi people to think beyond what is anticipated by the mainstream, eventually to think about how ‘change‘ or ‘beyond’ itself gets new meanings. It seems also virtual people love to think ‘beyond’: beyond… Continue reading

MetaMeets: “We are at the beginning”

“We are not at the end of the road but at the beginning;” That was how Tim Gorree, IT Architect, Web Technologies at Nokia, concluded the first day of MetaMeets in Amsterdam. The conference was started by another Nokia person, the director of organization development Ian Gee. He told us… Continue reading

Finding reality while looking through code

Our newspaper site exists 15 years now. In May 1996 someone who had a 128 kbit connection was a rather fortunate citizen, while nowadays we consider 100 megabit normal (in Belgium anyway). In May 2026 speed will no longer be an issue. Access to networks, information streams, databases will be… Continue reading